*two copies of a report left with Private Timmons in The Watch House & Prison to give to Taddle and Salina Marshall*
Yesterday, I was attacked on two separate occations.
First was while I was in the House of Light. A false priest entered the temple and invited myself and another cleric to join him in prayer. While we were praying, he was merely standing there. I heard noises behind me but thought nothing of it. Then as soon as I stood, he moved to exit quickly, and I was moving to wish Ilmater's blessing's upon him when I stepped into a trap near where he had been standing. He didn't make any move to assist the way a true priest would, and he promptly left. A man with a similar voice, though slightly muffled through a helmet then came back in and he was identified to be a man who goes by Restar. When confronted and asked to remove his helmet, he refused, and I pushed no further.
The second incident occured when I was speaking with a man in brown leather tunic with blue on the sleeves. A man in a red hood walked up and mentioned something about going to a secret door near a rat statue in the sewers and he would find more information there. I went down to investigate, and met up with two men: Kyle and Melrick.
We searched through the sewers till we find this statue, and before we had a chance to find a door, a man dressed as a tigereye approached us and asked us what we were doing. Then a man in red armor and a large axe just...appeared in front of me and struck me. I don't remember too much after that, except the man in red said some words to me that...I can't remember precisely, but I believe it was something along the lines of "Foolish girl didn't know what you were dealing with". And the next thing I knew, I was in the mausoleum.
- - -
[1]
C36H76LiN4O8P | ωB97M-V/def2-TZVPD

CARTESIAN COORDINATES (ANGSTROEM)
Li 1.083 0.873 0.411
P 3.075 0.114 1.049
O 4.366 -0.346 1.559
O 2.544 -0.036 -0.427
O 2.717 1.546 1.029
O 1.823 -0.310 1.607
C -1.380 -4.829 -1.245
C -1.422 -3.756 -2.127
C -2.771 -3.434 -2.697
C -3.744 -2.896 -1.659
C -3.085 -1.654 -0.979
C -1.781 -1.866 -0.400
N -0.909 -2.570 -1.378
O 0.503 -2.497 -1.275
C -2.000 -2.644 0.915
C -1.144 -0.551 0.035
C -0.532 -4.086 -3.361
H -2.264 -4.777 -0.568
H -0.442 -5.009 -0.688
H -1.625 -5.695 -1.842
H -3.221 -4.332 -3.037
H -2.671 -2.763 -3.512
H -4.072 -3.532 -0.863
H -4.650 -2.654 -2.140
H -3.717 -1.254 -0.179
H -2.911 -0.893 -1.735
H 0.859 -1.939 -0.593
H -2.474 -1.988 1.702
H -1.019 -2.958 1.357
H -2.553 -3.590 0.942
H -1.105 0.224 -0.754
H -0.180 -0.764 0.390
H -1.505 0.006 0.955
H -1.050 -4.713 -4.100
H 0.476 -4.574 -3.325
H -0.285 -3.086 -3.810
C 1.037 0.521 4.804
C 1.168 -0.857 5.139
C 1.129 -1.212 6.618
C -0.252 -1.537 7.120
C -0.806 -2.807 6.370
C -0.363 -2.929 5.000
N 0.184 -1.657 4.446
O 0.310 -1.726 3.021
C -1.527 -3.460 4.198
C 0.799 -3.938 4.935
C 2.558 -1.259 4.620
H 1.216 0.649 3.754
H 1.769 1.113 5.250
H 0.052 0.998 5.000
H 1.495 -0.403 7.124
H 1.701 -2.150 6.933
H -0.915 -0.676 6.903
H -0.316 -1.688 8.234
H -1.952 -2.714 6.475
H -0.530 -3.655 7.022
H 0.988 -1.025 2.665
H -1.246 -4.010 3.302
H -2.163 -2.697 3.789
H -2.260 -4.137 4.660
H 1.264 -3.929 3.863
H 0.587 -4.962 5.337
H 1.627 -3.691 5.585
H 3.049 -0.565 3.931
H 2.503 -2.219 4.058
H 3.136 -1.534 5.488
C 0.670 3.314 -0.938
C 0.668 4.505 -0.178
C -0.610 5.352 -0.114
C -1.658 4.805 0.807
C -0.953 4.815 2.157
C 0.215 3.967 2.218
N 1.143 4.343 1.200
O 2.552 3.897 1.327
C -0.185 2.495 2.041
C 0.853 4.102 3.575
C 1.735 5.381 -0.930
H 0.642 3.637 -2.003
H -0.044 2.543 -0.779
H 1.645 2.796 -0.964
H -0.984 5.252 -1.107
H -0.337 6.396 0.109
H -1.967 3.794 0.581
H -2.488 5.585 0.870
H -1.734 4.554 2.840
H -0.558 5.845 2.362
H 2.638 2.931 1.140
H -0.731 2.159 1.193
H -0.828 2.374 2.918
H 0.649 1.813 2.238
H 0.149 3.983 4.310
H 1.372 5.052 3.662
H 1.632 3.322 3.743
H 1.967 6.280 -0.314
H 1.348 5.760 -1.784
H 2.658 4.806 -1.200
C -1.529 1.215 -5.678
C -0.218 1.692 -5.112
C -0.043 1.413 -3.604
C 0.089 -0.086 -3.346
C 1.238 -0.624 -4.171
C 1.072 -0.436 -5.583
N 0.840 0.982 -5.907
O 2.068 1.744 -6.049
C 0.147 -1.415 -6.143
C 2.385 -0.943 -6.211
C -0.113 3.229 -5.342
H -2.254 1.905 -5.241
H -1.856 0.322 -5.252
H -1.558 1.211 -6.749
H -0.906 1.826 -3.041
H 0.930 1.993 -3.306
H -0.870 -0.565 -3.447
H 0.404 -0.008 -2.329
H 1.265 -1.641 -3.876
H 2.186 -0.312 -3.949
H 2.350 1.842 -5.192
H 0.065 -1.420 -7.249
H -0.821 -1.410 -5.698
H 0.439 -2.502 -5.851
H 3.214 -0.330 -5.980
H 2.371 -0.987 -7.296
H 2.672 -1.989 -6.010
H -0.829 3.788 -4.716
H -0.223 3.418 -6.456
H 0.911 3.569 -5.151

multiplicity = 1
net charge = -2
DFT total energy = -70391.4801 eV
lowest unoccupied orbital energy = 3.950 eV
Kohn-Sham gap = 0.15862 Ha
F_max = 11.83 eV/Å

---

[2]
- - -
• Here the entry continues:
I went to the rock after I regained my senses and searched for help, and found a hafling with red hair...I believe her name was Drasha. We went to the sewers together to help the others, and thanks to her they both made it out alive, though barely.
While we were searching for the others, we came across a man in orange leather armor and the man in the tigereye uniform, who began to shout at me. I did get a decent look at the man in the orange leather's face, but it was fairly dark, so it is difficult to describe. But I believe I might recognize him if I saw him again.
During these events in the sewers, Mister Melrick was badly beaten, as well as Mister Kyle. Mister Kyle's tail was also severed. Mister Kyle and Melrick were threatened with death that they were told was brought to myself already. Judging from the lack of strength I have now...I believe it to be true. I don't know how I still walk.
All my armor and weapons and surgical gear was stolen, and I was left with my robes, and my herbs. I neglected to deposit my gold at the bank before I went to investigate, and that was taken as well.
**What comes next are data records, not part of the article**
=====
Molecular formula: C20H33NO12P
Method: DFT, the ωB97M-V functional and the def2-TZVPD basis

energy: -2080.51084 a.u.
2S+1: 1
frontier orbital gap: 5.876 eV
charge: +1
HOMO: -11.330 eV

```
67
C20H33NO12P | the OMol25 dataset | the ωB97M-V functional and the def2-TZVPD basis
O -2.41931 0.78755 1.49840
N -2.14621 -0.40932 1.64367
O -2.07095 -1.02785 0.45130
P -0.58701 -0.67490 -0.38889
H 0.09647 -1.92817 -0.61502
H 0.31993 0.18795 0.32484
H -0.94523 -0.09666 -1.67842
O -0.44807 2.78330 -5.45574
C -0.74860 3.09716 -4.31585
O -0.31610 2.44338 -3.19795
C -0.94748 3.00963 -2.05057
C -1.36983 4.39300 -2.47108
C -1.67307 4.21437 -3.93721
H -1.80028 2.38041 -1.77492
H -0.24105 3.03482 -1.21573
H -2.21376 4.77962 -1.89362
H -0.53084 5.08935 -2.35185
H -2.70583 3.89554 -4.10326
H -1.45074 5.12010 -4.50612
O -0.73702 -2.61701 3.60205
C -1.03755 -2.30315 4.74194
O -0.60505 -2.95694 5.85984
C -1.23643 -2.39068 7.00723
C -1.65878 -1.00732 6.58671
C -1.96202 -1.18594 5.12058
H -2.08923 -3.01991 7.28287
H -0.53000 -2.36549 7.84206
H -2.50271 -0.62069 7.16417
H -0.81979 -0.31096 6.70594
H -2.99478 -1.50477 4.95454
H -1.73969 -0.28022 4.55168
O -2.90674 5.18984 -7.97018
C -2.41103 4.28428 -8.62010
O -3.09877 3.50827 -9.50836
C -2.23616 2.48430 -10.00149
C -0.83865 3.00202 -9.78275
C -0.98541 3.83047 -8.53153
H -2.43088 1.56374 -9.44129
H -2.44392 2.30547 -11.06049
H -0.09359 2.20672 -9.69608
H -0.54745 3.64884 -10.61931
H -0.85743 3.22854 -7.62759
H -0.30011 4.68122 -8.53101
O 1.20264 -0.45111 8.68694
C 1.88476 -0.09003 7.74220
O 1.38145 0.31046 6.53784
C 2.46077 0.55540 5.63736
C 3.65995 0.80802 6.51319
C 3.38294 -0.06360 7.71192
H 2.59008 -0.32516 4.99934
H 2.22668 1.41840 5.00725
H 4.60892 0.58366 6.01895
H 3.67932 1.86054 6.82114
H 3.75557 -1.08178 7.56954
H 3.78819 0.37302 8.62764
O 0.80875 -3.62808 -2.02213
C 1.38280 -4.34499 -1.21920
O 1.51869 -4.05870 0.10887
C 2.33487 -5.05572 0.72171
C 2.24162 -6.25695 -0.18232
C 2.07674 -5.63282 -1.54492
H 3.35743 -4.67145 0.79830
H 1.96108 -5.27155 1.72686
H 3.10699 -6.92072 -0.10687
H 1.34582 -6.83925 0.06565
H 3.04112 -5.41138 -2.01048
H 1.46396 -6.25615 -2.20019
```

=====

(1)
Formula: C11H12N2O2
Source: the Open Molecules 2025 dataset
Level of theory: ωB97M-V/def2-TZVPD

```
27
Properties=species:S:1:pos:R:3:forces:R:3
C 1.7967 0.1245 -1.9378 -1.25 -0.88 -3.99
C 1.6231 0.4626 -0.7188 -1.18 1.13 3.91
C 2.6418 0.5152 0.3904 0.74 -1.29 2.28
C 0.2883 1.0202 -0.1912 0.09 -1.61 -1.68
C -0.8878 0.3433 -0.0291 0.46 1.38 -0.51
C -2.0677 1.0700 0.2881 -0.25 2.39 1.35
C -3.3001 0.5688 0.1758 0.94 1.86 0.94
N -3.5233 -0.6167 -0.4111 -2.56 -0.98 -1.53
C -2.5584 -1.3236 -0.7981 2.40 1.79 2.79
C -1.2001 -1.0523 -0.2488 0.93 -0.29 -1.22
C -0.3819 -2.0173 0.1935 -1.60 -0.98 0.42
C 0.5876 -1.7726 1.2330 2.69 -2.58 2.56
N 0.3439 2.4706 -0.0644 2.59 0.46 0.68
O -0.1140 3.0118 0.9146 -1.08 0.34 0.55
O 1.1430 3.0509 -0.7944 -0.82 -0.38 -0.47
H 2.6221 -0.3089 -2.4330 1.54 -0.29 0.43
H 1.0315 0.2021 -2.7328 -0.16 0.23 0.97
=====
**So much for the data records**
Hope this is helpful, Chana Menner, Healer and servant of the Broken God.